_Given_
-- begin --
Simulated PXRD pattern of KCoOs for Cu Kα X-rays, from a DFT-relaxed cell (GGA-PBE, Alexandria).

Principal peaks in the range 10 to 90 degrees two-theta, sorted by position:
| (hkl) | Position (°2θ) | d [Å] | I_rel |
| --- | --- | --- | --- |
| 0 0 2 | 16.3 | 5.441 | 100 |
| 0 0 3 | 24.5 | 3.627 | 53 |
| 1 1 1 | 24.8 | 3.587 | 20 |
| 1 1 -2 | 30.9 | 2.890 | 24 |
| 1 0 3 | 36.8 | 2.443 | 22 |
| 1 1 4 | 39.0 | 2.311 | 20 |
| 2 1 0 | 42.6 | 2.123 | 76 |
| 1 -1 0 | 43.4 | 2.084 | 85 |
| 2 1 2 | 45.8 | 1.979 | 23 |
| 1 2 3 | 45.9 | 1.975 | 27 |
| 2 1 3 | 49.7 | 1.834 | 24 |
| 1 2 4 | 49.8 | 1.830 | 24 |

Atomic structure:
abc: 4.2452 4.2457 11.1448
angles: 79.16 89.91 60.01
Space group P-1 (No. 2)
Unique sites:
1 K 0.2338 0.0353 0.1918 (multiplicity 2)
2 Co 0.0326 0.4338 0.6014 (multiplicity 2)
3 Os 0.3348 0.8304 0.5044 (multiplicity 2)

=====

Simulated PXRD pattern of KCo2P2 for Cu Kα X-rays, from a DFT-relaxed cell (GGA-PBE, Alexandria).

Principal peaks in the range 10 to 90 degrees two-theta, sorted by position:
| (hkl) | Position (°2θ) | d [Å] | I_rel |
| --- | --- | --- | --- |
| 0 0 2 | 13.3 | 6.652 | 100 |
| 0 0 4 | 26.8 | 3.326 | 24 |
| 1 0 3 | 31.6 | 2.830 | 42 |
| 1 1 2 | 37.1 | 2.421 | 50 |
| 1 1 4 | 44.2 | 2.048 | 24 |
| 2 0 0 | 49.6 | 1.838 | 27 |
| 2 0 2 | 51.6 | 1.771 | 11 |
| 1 1 6 | 54.4 | 1.687 | 39 |
| 2 0 4 | 57.3 | 1.608 | 10 |
| 2 1 3 | 60.0 | 1.541 | 11 |
| 2 2 0 | 72.8 | 1.299 | 8 |
| 3 1 2 | 84.7 | 1.145 | 7 |

Atomic structure:
abc: 3.6750 3.6750 13.3040
angles: 90.00 90.00 90.00
Space group I4/mmm (No. 139)
Unique sites:
1 K 0.0000 0.0000 0.0000 (multiplicity 2)
2 Co 0.0000 0.5000 0.2500 (multiplicity 4)
3 P 0.0000 0.0000 0.3409 (multiplicity 4)

=====

Simulated PXRD pattern of K2ScCoPb for Cu Kα X-rays, from a DFT-relaxed cell (GGA-PBE, Alexandria).

Principal peaks in the range 10 to 90 degrees two-theta, sorted by position:
| (hkl) | Position (°2θ) | d [Å] | I_rel |
| --- | --- | --- | --- |
| 1 0 0 | 13.4 | 6.630 | 97 |
| 0 0 1 | 15.9 | 5.584 | 30 |
| 1 1 0 | 18.9 | 4.688 | 67 |
| 1 0 1 | 20.8 | 4.271 | 100 |
| 2 0 0 | 26.9 | 3.315 | 88 |
| 2 1 0 | 30.1 | 2.965 | 29 |
| 0 0 2 | 32.1 | 2.792 | 28 |
| 2 1 1 | 34.2 | 2.619 | 59 |
| 2 2 0 | 38.4 | 2.344 | 34 |
| 2 0 2 | 42.3 | 2.136 | 51 |
| 2 2 2 | 50.9 | 1.795 | 39 |
| 4 2 2 | 72.2 | 1.309 | 27 |

Atomic structure:
abc: 6.6303 6.6303 5.5843
angles: 90.00 90.00 90.00
Space group P4/mmm (No. 123)
Unique sites:
1 K 0.0000 0.5000 0.0000 (multiplicity 2)
2 Sc 0.0000 0.0000 0.5000 (multiplicity 1)
3 Co 0.5000 0.5000 0.5000 (multiplicity 1)
4 Pb 0.0000 0.0000 0.0000 (multiplicity 1)

=====

Simulated PXRD pattern of K2CoReSn for Cu Kα X-rays, from a DFT-relaxed cell (GGA-PBE, Alexandria).

Principal peaks in the range 10 to 90 degrees two-theta, sorted by position:
| (hkl) | Position (°2θ) | d [Å] | I_rel |
| --- | --- | --- | --- |
| 1 0 0 | 14.6 | 6.051 | 39 |
| 1 1 0 | 20.8 | 4.279 | 87 |
| 1 1 1 | 29.2 | 3.059 | 100 |
| 2 0 0 | 29.5 | 3.026 | 94 |
| 0 0 2 | 41.3 | 2.187 | 19 |
| 2 2 0 | 42.2 | 2.140 | 35 |
| 1 1 2 | 46.6 | 1.948 | 22 |
| 3 1 0 | 47.5 | 1.914 | 21 |
| 2 0 2 | 51.6 | 1.773 | 39 |
| 3 1 1 | 52.2 | 1.753 | 40 |
| 2 2 2 | 60.5 | 1.530 | 24 |
| 4 2 2 | 84.1 | 1.151 | 19 |

Atomic structure:
abc: 6.0515 6.0515 4.3747
angles: 90.00 90.00 90.00
Space group P4/mmm (No. 123)
Unique sites:
1 K 0.0000 0.5000 0.0000 (multiplicity 2)
2 Co 0.0000 0.0000 0.0000 (multiplicity 1)
3 Re 0.0000 0.0000 0.5000 (multiplicity 1)
4 Sn 0.5000 0.5000 0.5000 (multiplicity 1)

=====

Simulated PXRD pattern of K3CoRh for Cu Kα X-rays, from a DFT-relaxed cell (GGA-PBE, Alexandria).

Principal peaks in the range 10 to 90 degrees two-theta, sorted by position:
| (hkl) | Position (°2θ) | d [Å] | I_rel |
| --- | --- | --- | --- |
| 1 0 0 | 14.7 | 6.040 | 47 |
| 1 1 0 | 20.8 | 4.271 | 91 |
| 1 1 1 | 25.5 | 3.487 | 15 |
| 2 0 0 | 29.6 | 3.020 | 100 |
| 2 1 0 | 33.2 | 2.701 | 24 |
| 2 1 1 | 36.4 | 2.466 | 43 |
| 2 2 0 | 42.3 | 2.135 | 71 |
| 3 1 0 | 47.6 | 1.910 | 20 |
-- stop --

_Exercise_
Next, give back every line above that contains the word "I4".

_Here it is_
Space group I4/mmm (No. 139)